In disaster preparedness, we could learn from Japan

• Misplaced materials data:
For CeHoBiO2, the GGA-PBE geometry in Alexandria gives the calculated powder XRD pattern in this record (λ = 1.5418 Å (Cu Kα)).

Largest 6 diffraction maxima, in order of falling intensity, 5 to 70 degrees two-theta:
2θ (°)	Rel. int.	hkl
30.4	1000	1 0 3
32.0	382	1 1 0
56.1	364	2 1 3
53.0	237	1 1 6
45.9	184	2 0 0
63.3	122	2 0 6

Atomic structure:
a b c (Å): 3.9551 3.9551 13.1725
angles (deg): 90.00 90.00 90.00
Space group I4mm (No. 107)
Unique sites:
Ce 0.0000 0.0000 0.0000 [2 per cell]

No matter where you live, you are susceptible to disasters, from fires in the home to natural disasters that could destroy your community. The Japanese people are far ahead of the United States when it comes to disaster preparedness.

William Stafford wrote an excellent article for The Reporter about their system of disaster training centers that are so popular they are even listed as tourist attractions.

Mr. Stafford makes the point that Americans “should learn to be a little less obsessed with terrorism, much more about preparedness”. It’s a valid point, especially when you compare property damage or the number of people killed by terrorism and natural disasters.

Here is an excerpt from the article, where he describes his visit to one of the disaster training centers:

On arrival in Fukuoka, I took a Sunday afternoon stroll to see the center. To my amazement, there was a line of families in the parking lot waiting to enter. I toured the facility and complimented one of the workers on parents bringing their children for training.

Disaster Training in Japan
Children at a school in Japan try their hand at a target practice game using fire extinguishers. Other drills teach kids how to use buckets of water to put out fires in case there are no fire extinguishers available. Photo: Kids Web Japan

She replied: “That is not correct, sir. The children are bringing their parents. All schoolchildren must annually visit the center. They like it so much, that they bring their parents on the weekend.” The facility is run by the Fukuoka Fire Department.

Every major city in Japan, I learned, has an experienced-based disaster training center run by the city government. There is nothing like this in the United States. My discussions with local Red Cross and other officials suggest the American system is simply not effective. But the professionals I talked with were genuinely excited by the Japanese approach. We took our Seattle delegation to the Fukuoka center as part of the study mission. A sample of what they saw:

In one room, there’s an interactive screen the size of a wall in one’s home. In the corner of the screen is a waste paper basket. Against the wall are four red fire extinguishers. Paper in the waste basket catches fire. The fire begins to spread. Four children run to get the extinguishers and spray them on the fire. If done properly, the fire goes out. If not, the room burns up!

It turned out that none of the more than 74 Seattle delegates had ever used a fire extinguisher before, although all of them had one in their home.

Another room is set up as a kitchen, with a table, four chairs and a gas stove. Four of our delegates sat at the table. The room began to rock and shake to simulate either a 5.0 or a 7.0 earthquake. One turned off the stove while the others dove under the table and held onto the table legs. Afterward, one of our business delegates said he would bolt his home to the foundation on his return to Seattle.

The center allows one to escape a smoke-filled room, learn about floods, experience typhoon-level winds, examine a medivac helicopter and practice CPR. We discussed home-safety precautions, smoke detectors use and other day-to-day safety tips.

More information about disaster preparedness training for children in Japan.


IAEM calls for removing FEMA from the DHS

The International Association of Emergency Mangers is calling for FEMA to be removed from the Department of Homeland Security and to be an independent agency reporting directly to the President.

IAEM-USA believes that mixing the DHS mission of preventing future terrorism events and the FEMA mission of disaster consequence management (mitigation, preparedness, response and recovery) has significantly detracted from both missions. The re-establishment of FEMA as an independent agency reporting directly to the President, with a Director designated as a member of the President’s Cabinet, would allow federal, state and local government partners to better serve the American public during future disasters.

The fundamental division of work would return to the paradigm of crisis management (protecting the nation by preventing and catching those who would commit an act of terrorism against the United States) and consequence management (dealing with the impact of any disaster – whether natural, technological or terrorism-related). IAEM-USA believes that a nimble, strong and independent FEMA with strong state and local partners would greatly contribute to the safety of our citizens and the resiliency our communities.
Thanks, Dick, for the tip.